-- Listing --
........
# 1
The following is a computed powder X-ray diffraction pattern of LiTl2Cd. It was derived from a crystal structure in Alexandria, relaxed with PBE, using Cu Ka.

Structural model:
Lattice parameters (Å, degrees): 4.881 4.881 4.194 90.00 90.00 90.00
Sites, in units of the cell vectors:
Li: 0.000 0.000 0.000
Tl: 0.000 0.500 0.500
Tl: 0.500 0.000 0.500
Cd: 0.500 0.500 0.000

Largest 10 diffraction maxima, by angle, 2θ = 10–90°:
4.194 Å, 21.19°, I = 22.3
3.451 Å, 25.81°, I = 27.9
2.665 Å, 33.63°, I = 100.0
2.440 Å, 36.83°, I = 39.2
2.109 Å, 42.87°, I = 15.1
2.097 Å, 43.14°, I = 12.6
1.726 Å, 53.07°, I = 13.8
1.590 Å, 57.99°, I = 21.2
1.448 Å, 64.31°, I = 31.0
1.332 Å, 70.70°, I = 11.7

# 2
The following is a computed powder X-ray diffraction pattern of Li3Tl2Cd3. It was derived from a crystal structure in Alexandria, relaxed with PBE, using Cu Ka.

Structural model:
Lattice parameters (Å, degrees): 8.805 8.805 4.688 104.77 104.77 30.22
Sites, in units of the cell vectors:
Li: 0.000 0.000 0.000
Li: 0.120 0.120 0.618
Li: 0.880 0.880 0.382
Tl: 0.247 0.247 0.248
Tl: 0.753 0.753 0.752
Cd: 0.388 0.388 0.891
Cd: 0.500 0.500 0.500
Cd: 0.612 0.612 0.109

Largest 10 diffraction maxima, by angle, 2θ = 10–90°:
8.199 Å, 10.79°, I = 77.8
4.421 Å, 20.08°, I = 53.0
3.054 Å, 29.24°, I = 29.0
3.037 Å, 29.41°, I = 26.7
2.572 Å, 34.89°, I = 100.0
2.551 Å, 35.18°, I = 98.4
2.344 Å, 38.41°, I = 39.8
2.296 Å, 39.25°, I = 37.5
2.049 Å, 44.20°, I = 27.9
1.640 Å, 56.08°, I = 26.6

# 3
The following is a computed powder X-ray diffraction pattern of Li5Tl3Cd3. It was derived from a crystal structure in Alexandria, relaxed with PBE, using Cu Ka.

Structural model:
Lattice parameters (Å, degrees): 8.027 8.027 4.880 90.00 90.00 120.00
Sites, in units of the cell vectors:
Li: 0.000 0.389 0.000
Li: 0.333 0.667 0.000
Li: 0.389 0.000 0.000
Li: 0.611 0.611 0.000
Li: 0.667 0.333 0.000
Tl: 0.000 0.547 0.500
Tl: 0.453 0.453 0.500
Tl: 0.547 0.000 0.500
Cd: 0.000 0.781 0.000
Cd: 0.219 0.219 0.000
Cd: 0.781 0.000 0.000

Largest 10 diffraction maxima, by angle, 2θ = 10–90°:
4.014 Å, 22.15°, I = 72.7
3.994 Å, 22.26°, I = 68.4
3.476 Å, 25.63°, I = 40.5
2.831 Å, 31.60°, I = 100.0
2.440 Å, 36.84°, I = 26.6
2.314 Å, 38.93°, I = 63.7
2.085 Å, 43.40°, I = 25.2
1.928 Å, 47.14°, I = 24.0
1.856 Å, 49.08°, I = 24.4
1.793 Å, 50.92°, I = 23.5

# 4
The following is a computed powder X-ray diffraction pattern of LiTl4Cd. It was derived from a crystal structure in Alexandria, relaxed with PBE, using Cu Ka.

Structural model:
Lattice parameters (Å, degrees): 6.767 6.767 3.813 90.18 90.18 105.80
Sites, in units of the cell vectors:
Li: 0.000 0.000 0.000
Tl: 0.298 0.312 0.502
Tl: 0.555 0.061 0.002
Tl: 0.688 0.702 0.498
Tl: 0.939 0.445 0.998
Cd: 0.216 0.784 0.500

Largest 10 diffraction maxima, by angle, 2θ = 10–90°:
4.082 Å, 21.77°, I = 48.2
3.291 Å, 27.10°, I = 50.2
3.114 Å, 28.66°, I = 100.0
2.699 Å, 33.19°, I = 58.0
2.639 Å, 33.97°, I = 48.1
2.481 Å, 36.21°, I = 60.7
2.471 Å, 36.36°, I = 57.7
2.251 Å, 40.05°, I = 23.7
2.172 Å, 41.57°, I = 39.7
1.907 Å, 47.70°, I = 23.0

# 5
The following is a computed powder X-ray diffraction pattern of Li2TlCd6. It was derived from a crystal structure in Alexandria, relaxed with PBE, using Cu Ka.

Structural model:
Lattice parameters (Å, degrees): 7.096 7.096 7.098 106.11 106.11 35.08
Sites, in units of the cell vectors:
Li: 0.056 0.056 0.324
Li: 0.944 0.944 0.676
Tl: 0.500 0.500 0.000
Cd: 0.168 0.168 0.993
Cd: 0.274 0.274 0.663
Cd: 0.394 0.394 0.357
Cd: 0.606 0.606 0.643
Cd: 0.726 0.726 0.337
Cd: 0.832 0.832 0.007

Largest 10 diffraction maxima, by angle, 2θ = 10–90°:
6.791 Å, 13.04°, I = 16.5
4.125 Å, 21.54°, I = 15.7
4.061 Å, 21.88°, I = 34.4
2.583 Å, 34.73°, I = 100.0
2.537 Å, 35.38°, I = 95.5
2.264 Å, 39.82°, I = 32.8
2.255 Å, 39.99°, I = 34.1
2.139 Å, 42.26°, I = 29.3
1.555 Å, 59.46°, I = 20.0
1.552 Å, 59.58°, I = 20.4

# 6
........

-- Work order --
Find the line further above that holds "21.19°,", then echo that line and all lines after it there, please.

-- Solution --
4.194 Å, 21.19°, I = 22.3
3.451 Å, 25.81°, I = 27.9
2.665 Å, 33.63°, I = 100.0
2.440 Å, 36.83°, I = 39.2
2.109 Å, 42.87°, I = 15.1
2.097 Å, 43.14°, I = 12.6
1.726 Å, 53.07°, I = 13.8
1.590 Å, 57.99°, I = 21.2
1.448 Å, 64.31°, I = 31.0
1.332 Å, 70.70°, I = 11.7

# 2
The following is a computed powder X-ray diffraction pattern of Li3Tl2Cd3. It was derived from a crystal structure in Alexandria, relaxed with PBE, using Cu Ka.

Structural model:
Lattice parameters (Å, degrees): 8.805 8.805 4.688 104.77 104.77 30.22
Sites, in units of the cell vectors:
Li: 0.000 0.000 0.000
Li: 0.120 0.120 0.618
Li: 0.880 0.880 0.382
Tl: 0.247 0.247 0.248
Tl: 0.753 0.753 0.752
Cd: 0.388 0.388 0.891
Cd: 0.500 0.500 0.500
Cd: 0.612 0.612 0.109

Largest 10 diffraction maxima, by angle, 2θ = 10–90°:
8.199 Å, 10.79°, I = 77.8
4.421 Å, 20.08°, I = 53.0
3.054 Å, 29.24°, I = 29.0
3.037 Å, 29.41°, I = 26.7
2.572 Å, 34.89°, I = 100.0
2.551 Å, 35.18°, I = 98.4
2.344 Å, 38.41°, I = 39.8
2.296 Å, 39.25°, I = 37.5
2.049 Å, 44.20°, I = 27.9
1.640 Å, 56.08°, I = 26.6

# 3
The following is a computed powder X-ray diffraction pattern of Li5Tl3Cd3. It was derived from a crystal structure in Alexandria, relaxed with PBE, using Cu Ka.

Structural model:
Lattice parameters (Å, degrees): 8.027 8.027 4.880 90.00 90.00 120.00
Sites, in units of the cell vectors:
Li: 0.000 0.389 0.000
Li: 0.333 0.667 0.000
Li: 0.389 0.000 0.000
Li: 0.611 0.611 0.000
Li: 0.667 0.333 0.000
Tl: 0.000 0.547 0.500
Tl: 0.453 0.453 0.500
Tl: 0.547 0.000 0.500
Cd: 0.000 0.781 0.000
Cd: 0.219 0.219 0.000
Cd: 0.781 0.000 0.000

Largest 10 diffraction maxima, by angle, 2θ = 10–90°:
4.014 Å, 22.15°, I = 72.7
3.994 Å, 22.26°, I = 68.4
3.476 Å, 25.63°, I = 40.5
2.831 Å, 31.60°, I = 100.0
2.440 Å, 36.84°, I = 26.6
2.314 Å, 38.93°, I = 63.7
2.085 Å, 43.40°, I = 25.2
1.928 Å, 47.14°, I = 24.0
1.856 Å, 49.08°, I = 24.4
1.793 Å, 50.92°, I = 23.5

# 4
The following is a computed powder X-ray diffraction pattern of LiTl4Cd. It was derived from a crystal structure in Alexandria, relaxed with PBE, using Cu Ka.

Structural model:
Lattice parameters (Å, degrees): 6.767 6.767 3.813 90.18 90.18 105.80
Sites, in units of the cell vectors:
Li: 0.000 0.000 0.000
Tl: 0.298 0.312 0.502
Tl: 0.555 0.061 0.002
Tl: 0.688 0.702 0.498
Tl: 0.939 0.445 0.998
Cd: 0.216 0.784 0.500

Largest 10 diffraction maxima, by angle, 2θ = 10–90°:
4.082 Å, 21.77°, I = 48.2
3.291 Å, 27.10°, I = 50.2
3.114 Å, 28.66°, I = 100.0
2.699 Å, 33.19°, I = 58.0
2.639 Å, 33.97°, I = 48.1
2.481 Å, 36.21°, I = 60.7
2.471 Å, 36.36°, I = 57.7
2.251 Å, 40.05°, I = 23.7
2.172 Å, 41.57°, I = 39.7
1.907 Å, 47.70°, I = 23.0

# 5
The following is a computed powder X-ray diffraction pattern of Li2TlCd6. It was derived from a crystal structure in Alexandria, relaxed with PBE, using Cu Ka.

Structural model:
Lattice parameters (Å, degrees): 7.096 7.096 7.098 106.11 106.11 35.08
Sites, in units of the cell vectors:
Li: 0.056 0.056 0.324
Li: 0.944 0.944 0.676
Tl: 0.500 0.500 0.000
Cd: 0.168 0.168 0.993
Cd: 0.274 0.274 0.663
Cd: 0.394 0.394 0.357
Cd: 0.606 0.606 0.643
Cd: 0.726 0.726 0.337
Cd: 0.832 0.832 0.007

Largest 10 diffraction maxima, by angle, 2θ = 10–90°:
6.791 Å, 13.04°, I = 16.5
4.125 Å, 21.54°, I = 15.7
4.061 Å, 21.88°, I = 34.4
2.583 Å, 34.73°, I = 100.0
2.537 Å, 35.38°, I = 95.5
2.264 Å, 39.82°, I = 32.8
2.255 Å, 39.99°, I = 34.1
2.139 Å, 42.26°, I = 29.3
1.555 Å, 59.46°, I = 20.0
1.552 Å, 59.58°, I = 20.4

# 6